Samuel Johnson

  • Born: September 18, 1709
  • Birthplace: Lichfield, Staffordshire, England
  • Died: December 13, 1784
  • Place of death: London, England

English writer and scholar

Johnson not only wrote some of the finest poetry, fiction, and essays of his time but also edited the works of William Shakespeare and compiled the first dictionary of the English language.

Areas of achievement Literature, scholarship

Early Life

Samuel Johnson’s father, Michael Johnson, was an unsuccessful bookseller. As an infant, Johnson contracted tuberculosis from a wet nurse and lost sight in one eye and hearing in one ear. His physical appearance was not appealing; one of Johnson’s aunts declared that she “would not have picked such a poor creature up in the street.” Johnson’s ill health and frightening appearance did not, however, prevent him from educating himself in the back room of his father’s bookshop. He did very well in his studies at Lichfield Grammar School, and after a year at Stourbridge Grammar School as both student and teacher, he entered Pembroke College, Oxford. He was described by one of the dons there as “the best prepared pupil to have come up to Oxford.” The small legacy from his mother was not enough to keep Johnson at Oxford, however, and he had to leave without a degree in 1731.


His prospects were very uncertain, but he did manage to get a job as an undermaster at Market Bosworth School. Johnson described this experience as a “complicated misery,” and he soon left. It was during this period that Johnson fell into a psychological depression, a malady that was to plague him throughout his life. He did manage to break his depression long enough to translate into English the French version of Father Jerome Lobo’s A Voyage to Abyssinia, in 1735. Also in 1735, he married a widow, Elizabeth Porter, who was older than he and not very attractive; in addition, her family opposed her marrying a younger man. With her money, he established Edial School; the school was not a success, however, and in 1737 he went to London with one of his pupils, the future great actor David Garrick.

Life’s Work

In London, Samuel Johnson attempted to support himself with his pen. He wrote some essays for the Gentleman’s Magazine and worked on his tragedy, Irene (1749). Johnson was living apart from his wife during this period, and the marriage, which was a very odd one to begin with, was never the same. Johnson wrote one of his better poems in 1738, London: A Poem in Imitation of the Third Satire of Juvenal. The poem is filled with horrifying descriptions of daily life in London, and it provides a picture of the type of life Johnson was then living. One couplet shows something about his attitude at this time: “This mournful truth is ev’ry where confess’d, / slow rises worth, by poverty depress’d.” Johnson met Richard Savage in 1738, and the two of them wandered the streets living a hand-to-mouth existence. Savage was a poet, and he claimed to be the illegitimate son of the countess of Macclesfield. The moral Johnson and the amoral Savage made a strange pair, but Johnson had a close attachment to Savage, as is evident in An Account of the Life of Mr. Richard Savage, which Johnson published anonymously in 1744. W. J. Bate calls this work the first example of “critical biography” in English, and its combination of criminal biography with high-minded moral lessons has fascinated readers for two centuries.

# Misplaced materials data
+++
# Zn2FeW

A geometry-optimized Zn2FeW structure (GGA-PBE, the Alexandria database).

Output
The value obtained for the energy relative to the elements is 0.23 eV per atom. As for the size of the total moment: 1.842 μB per formula unit.

abc: 2.6124 4.3070 5.0575
angles: 90.00 101.98 90.00
Space group P2/m (No. 10)
Unique sites:
Zn (0.1782, 0.0000, 0.2598) x2
Fe (0.0000, 0.5000, 0.5000) x1
W (0.5000, 0.5000, 0.0000) x1

----------

No. 1
A geometry-optimized HfTlAuS3 structure, computed with PBE.

Summary:
E ... -66.08 eV for the cell shown
Space-group type ... No. 63

```
HfTlAuS3
1.0
3.7845 0.0000 0.0000
1.8923 7.4589 0.0000
0.0000 0.0000 10.0273
Tl S Hf Au
2 6 2 2
direct
0.2786 0.4428 0.2500
0.7214 0.5572 0.7500
0.9533 0.0933 0.2500
0.3820 0.2359 0.5161
0.0467 0.9067 0.7500
0.6180 0.7641 0.0161
0.3820 0.2359 0.9839
0.6180 0.7641 0.4839
0.0000 0.0000 0.5000
0.0000 0.0000 0.0000
0.6057 0.7887 0.2500
0.3943 0.2113 0.7500
```

No. 2
A geometry-optimized FeCuMo4N2 structure, computed with PBE.

Summary:
E ... -71.31 eV for the cell shown
Space-group type ... No. 187

```
FeCuMo4N2
1.0
-1.8666 2.0711 -0.3900
-0.8750 -2.5484 0.8159
1.4645 3.9228 13.8229
Mo Cu N Fe
4 1 2 1
direct
0.0000 0.0000 0.6506
0.6667 0.3333 0.8456
0.0000 0.0000 0.3494
0.6667 0.3333 0.1544
0.0000 0.0000 0.0000
0.3333 0.6667 0.7486
0.3333 0.6667 0.2514
0.6667 0.3333 0.5000
```

No. 3
A geometry-optimized MgTlZnFe structure, computed with PBE.

Summary:
E ... -12.12 eV for the cell shown
Space-group type ... No. 216

```
MgTlZnFe
1.0
0.0000 3.2743 3.2743
3.2743 0.0000 3.2743
3.2743 3.2743 0.0000
Zn Tl Fe Mg
1 1 1 1
direct
0.5000 0.5000 0.5000
0.0000 0.0000 0.0000
0.7500 0.7500 0.7500
0.2500 0.2500 0.2500
```

No. 4
A geometry-optimized Nd2Sm2CBr2Cl3 structure, computed with PBE.

Summary:
E ... -53.00 eV for the cell shown
Space-group type ... No. 12

```
Nd2Sm2CBr2Cl3
1.0
9.0484 -1.9437 0.0000
9.0484 1.9437 0.0000
-1.8828 0.0000 7.9052
Br Cl C Sm Nd
2 3 1 2 2
direct
0.1721 0.1721 0.8263
0.8279 0.8279 0.1737
0.5000 0.5000 0.5000
0.8389 0.8389 0.6699
0.1611 0.1611 0.3301
0.5000 0.5000 0.0000
0.6408 0.6408 0.0781
0.3592 0.3592 0.9219
0.0003 0.0003 0.7855
0.9997 0.9997 0.2145
```

No. 5
A geometry-optimized CsRbAgP structure, computed with PBE.

Summary:
E ... -22.49 eV for the cell shown
Space-group type ... No. 11

```
CsRbAgP
1.0
-6.2221 1.9811 1.2317
-2.2159 -4.8870 -3.3333
1.6793 -4.1698 4.9970
Rb Cs P Ag
2 2 2 2
direct
0.6884 0.7500 0.0285
0.3116 0.2500 0.9715
0.9647 0.2500 0.3113
0.0353 0.7500 0.6887
0.7272 0.2500 0.7468
0.2728 0.7500 0.2532
0.5000 0.0000 0.5000
0.5000 0.5000 0.5000
```

No. 6
A geometry-optimized U3Cu2Sb3 structure, computed with PBE.

Summary:
E ... -109.28 eV for the cell shown
Space-group type ... No. 63

```
U3Cu2Sb3
1.0
-1.6134 3.9453 1.0963
-2.6926 -3.1206 -1.5671
-3.7453 -7.4323 21.2352
Sb U Cu
6 6 4
direct
0.3334 0.6669 0.8403
0.0000 0.0000 0.5000
0.3334 0.6669 0.6597
0.0000 0.0000 0.0000
0.6666 0.3331 0.1597
0.6666 0.3331 0.3403
0.6665 0.3331 0.5785
+++

Johnson was able to bring his wife to London in 1737, but he was still making a precarious living doing the journalism that Grub Street demanded. One of the most interesting examples of that type of writing was Johnson’s reporting—or, more accurately, creating—the Parliamentary Debates. He did not attend the debates in Parliament, but learned the order of the speakers and the positions they took and then wrote them up in his very noticeable style. For more than two centuries some of those speeches were set forth as models of oratory, but they were really the product of a poor man who dashed them off when he could in a disheveled room in Grub Street.

In 1747, Johnson published The Plan of a Dictionary of the English Language. He intended to complete this monumental project in three years, and although it took eight years it remains one of the most impressive scholarly accomplishments of modern times. In contrast to Johnson’s eight years, it took the forty members of the French Academy forty years to complete their dictionary. When Johnson’s Dictionary of the English Language was published in 1755, it was greeted with critical praise and national pride. Johnson’s reputation was established, and he could find some relief from the demands of Grub Street journalism. His financial circumstances began to improve once the dictionary project was supported by a group of booksellers. Johnson received œ1,575 for the project, which enabled him to rent a house and place his wife in more pleasant surroundings; she was to die, however, in 1752, before her husband’s great work was published. Johnson’s feeling for her is evident in the following sentence he wrote in the preface to the dictionary:

The English Dictionary was written with little assistance of the learned, and without any patronage of the great; not in the soft obscurities of retirement, or under the shelter of academick bowers, but amidst inconvenience and distraction, in sickness and sorrow.

Johnson’s heroism and humanity were never more manifest.

In 1749, Johnson published his finest poem, The Vanity of Human Wishes: The Tenth Satire of Juvenal Imitated, which, like London, was based on one of Juvenal’s Satires. Unlike London, however, which attacks the vices of the city, The Vanity of Human Wishes indicts all vain human desires. The poem is an inventory of those “wishes” and singles out such aspects of human life as power, military glory, and the life of the scholar and the poet. It concludes with a terrifying question: “Must helpless man, in ignorance sedate, / Roll darkling down the torrent of his fate?” The answer is that happiness can be obtained only by submitting to “heav’n” and abandoning vain desires. The Vanity of Human Wishes is not only a great poem but also a reflection of Johnson’s own troubled mind; he fell into periodic depressions because he believed that he could not live up to the strong religious demands he made of himself. His only relief was to submit to “heav’n.”

From 1750 to 1752, Johnson wrote hundreds of essays for his journal The Rambler. These essays were not in the manner of the light and personal essays that had been written earlier by Joseph Addison and Richard Steele for The Spectator; instead, Johnson wrote on moral issues with a more distant and impersonal style. For example, he wrote on such topics as old age, self-indulgence, and forgiveness. Some of the essays were on literary subjects such as modern fiction and biography, but they retained the high moral tone and the magisterial style. Johnson later said, “My other works are wine and water; but my Rambler is pure wine.” A later venture into periodical writing in The Idler, in the vein of Addison and Steele, was not as successful, since it went against the Johnsonian grain.

In 1759, Johnson published his small masterpiece Rasselas, Prince of Abyssinia. Rasselas is very similar to a fairy tale. The title character leaves the “Happy Valley” to find “happiness.” On this quest, Rasselas and his companions find not happiness but those vain human desires Johnson exposed in The Vanity of Human Wishes. Political power, learning, poetry, and the social world of pleasure are all found to be lacking in the capacity to bring happiness. It is only when Rasselas and the others can escape their own desires that they find something like happiness. The moral of the tale can also be applied to Johnson’s own condition at the time. He wrote the tale in a few days to earn enough money to defray the expenses of his mother’s funeral.

In October, 1765, Johnson’s last great work, the long-delayed The Plays of William Shakespeare, was published. The textual editing of the plays has been superseded, but Johnson’s own comments on specific plays and his preface are still discussed by Shakespearean scholars. The preface is especially important in its rejection of the neoclassical unities of time, place, and action. Johnson rejected the unities of time and space with typical common sense: “The objection arising from the impossibility of passing the first hour at Alexandria, and the next at Rome, supposes, that when the play opens, the spectator really imagines himself at Alexandria. . . .” His insistence on describing Shakespeare as a playwright whose works were taken from life rather than art and on the pleasure the audience receives from a Shakespearean play remains refreshing and illuminating. Moreover, he did not blindly worship Shakespeare; in fact, he criticized Shakespeare’s excessive use of puns and his sometimes declamatory language.

• Next to the piece, the page also holds materials data:
/*
MnAg2PbF6 | GGA+U | optimized geometry

a = 6.0088 Å, b = 6.1698 Å, c = 10.4960 Å
α = 90.00°, β = 124.16°, γ = 90.00°
Last column: nearest neighbours and their distance in Å.
Fractional positions:
Mn  0.0000  0.0000  0.0000  6 F 2.13-2.18
Mn  0.0000  0.5000  0.5000  6 F 2.13-2.18
Ag  0.2299  0.0629  0.7492  4 F 2.43-2.49
Ag  0.2299  0.4371  0.2492  4 F 2.43-2.49
Ag  0.7701  0.5629  0.7508  4 F 2.43-2.49
Ag  0.7701  0.9371  0.2508  4 F 2.43-2.49
Pb  0.5000  0.0000  0.5000  6 F 2.45-2.49
Pb  0.5000  0.5000  0.0000  6 F 2.45-2.49
F  0.0936  0.2076  0.4287  1 Mn 2.15
F  0.0936  0.2924  0.9287  1 Mn 2.15
F  0.2224  0.6745  0.4315  1 Mn 2.13
F  0.2224  0.8255  0.9315  1 Mn 2.13
F  0.3575  0.0632  0.2296  1 Mn 2.18
F  0.3575  0.4368  0.7296  1 Mn 2.18
F  0.6425  0.5632  0.2704  1 Mn 2.18
F  0.6425  0.9368  0.7704  1 Mn 2.18
F  0.7776  0.1745  0.0685  1 Mn 2.13
F  0.7776  0.3255  0.5685  1 Mn 2.13
F  0.9064  0.7076  0.0713  1 Mn 2.15
F  0.9064  0.7924  0.5713  1 Mn 2.15

Results
*/
• End of the materials data:

The last period of Johnson’s life is marked by the friends he made and talked with, especially the Thrales and James Boswell. Henry Thrale was a prosperous brewer, and his wife, Hester, had an interest in literature. They invited Johnson to stay at their country home and saved him from one of his periodic depressions. They became, in effect, his family, and their country home became his home. His own house in London provided him with little peace during this period, since it was inhabited by a group of quarrelsome dependents whom Johnson had charitably invited to live there.

In 1763, the famous meeting between Johnson and Boswell occurred. Boswell, the son of a Scottish laird, was a law student with an interest in literature. His relationship with Johnson was curious; Johnson was always teasing Boswell about being a Scot and about being naïve. Johnson also became a moral guide and confessor to Boswell; he patiently listened to tales of Boswell’s romantic liaisons or doubts about religion and reassured him. Indeed, Boswell might be described as the son that Johnson never had. Boswell, for his part, spent a limited amount of time with Johnson, but he recorded the most telling and amusing stories and utterances by and about Johnson. Boswell’s The Life of Samuel Johnson, LL.D. (1791) is a remarkable rendering of individual personality and thought, having earned for Boswell his own place in the history of letters. The reader of Boswell’s biography comes away with a sense of a legendary man as a living being.


Samuel Johnson was the last of the great neoclassical writers, and, as the last of his kind, he most fully embodied the values, style, and critical concepts of the period. He stressed the “grandeur of generality” in literature rather than the particular, and he insisted again and again that the purpose of literature is to “teach and delight.” During the nineteenth century, this representative of his age came under attack as Romanticism displaced neoclassicism. For more than one hundred years, Johnson was seen as an oddity from an earlier and less important period. Fortunately, Johnson’s fiction, poetry, and essays, as well as his criticism, are now read with a less prejudiced eye as readers continue to discover the Johnsonian values of common sense, humor, and morality.

Johnson the writer may not be to everyone’s taste, but few can resist the appeal of Johnson the individual. The manner in which he practiced the moral precepts he taught, such as charity, is very rare. So, too, is the way in which Johnson fought off the depression that victimized him. He believed that “cheerfulness” was everyone’s duty, and he maintained his good spirits in very trying circumstances. Johnson was described by Hester Thrale as the most fun-loving person she had met. Surely, the impression any reader of Johnson or about Johnson receives is that of humor, good sense, and humanity.


Bate, W. J. Samuel Johnson. New York: Harcourt Brace Jovanovich, 1977. This full biography of Johnson is an essential supplement to James Boswell’s biography. It is thorough and gracefully written, and discusses Johnson’s psychology fully.

Bloom, Edward A. Samuel Johnson in Grub Street. Providence, R.I.: Brown University Press, 1957. The most informative book about Johnson’s journalism and the practices of magazines and booksellers of the period.

Boswell, James. The Life of Samuel Johnson, LL.D. Edited by G. B. Hill. 6 vols. Oxford, England: Oxford University Press, 1934-1950. The standard edition of Boswell’s great biography.

Clifford, James. Young Sam Johnson. New York: Oxford University Press, 1955. Clifford focuses on Johnson’s early years, which were slighted by Boswell. Informative and readable.

### Here the piece breaks off for records of crystals
┌──
1.
Ca2TaBe | the Alexandria database | PBE | optimized geometry; spin magnetization = 1.0 Bohr magnetons per cell; crystal system = tetragonal; ΔE_f = 894 meV per atom; calculated total energy = -4.002 eV/atom; SG = P4/mmm, No. 123
1.0
-3.491 -2.057 -1.364
2.231 -3.641 -0.219
-1.190 -1.003 4.558
Ca Be Ta
2 1 1
Direct
0.000 0.000 0.000
0.500 0.500 0.000
0.000 0.500 0.500
0.500 0.000 0.500

***

2.
CaTa2Be | the Alexandria database | PBE | optimized geometry; spin magnetization = 0.0 Bohr magnetons per cell; crystal system = monoclinic; ΔE_f = 591 meV per atom; calculated total energy = -6.767 eV/atom; SG = Cm, No. 8
1.0
4.878 -0.010 0.000
3.960 2.847 0.000
1.038 0.333 5.811
Be Ta Ca
1 2 1
Direct
0.489 0.489 0.579
0.763 0.763 0.736
0.016 0.016 0.921
0.232 0.232 0.264

***

3.
Ca2TaBe | the Alexandria database | PBE | optimized geometry; spin magnetization = 4.5 Bohr magnetons per cell; crystal system = tetragonal; ΔE_f = 1093 meV per atom; calculated total energy = -3.803 eV/atom; SG = I-42d, No. 122
1.0
8.233 0.000 0.000
0.000 8.233 0.000
4.116 4.116 2.801
Be Ca Ta
2 4 2
Direct
0.250 0.750 0.500
0.500 0.500 0.000
0.178 0.625 0.250
0.375 0.428 0.750
0.875 0.822 0.750
0.572 0.125 0.250
0.000 0.000 0.000
0.750 0.250 0.500

***

4.
CaTaBe2 | the Alexandria database | PBE | optimized geometry; spin magnetization = 0.0 Bohr magnetons per cell; crystal system = tetragonal; ΔE_f = 401 meV per atom; calculated total energy = -4.926 eV/atom; SG = P4/mmm, No. 123
1.0
4.727 0.029 0.000
-0.030 4.727 0.000
0.000 0.000 2.807
Ta Be Ca
1 2 1
Direct
0.000 0.500 0.500
0.000 0.000 0.000
0.500 0.500 0.000
0.500 0.000 0.500

***

5.
CaTa2Be | the Alexandria database | PBE | optimized geometry; spin magnetization = 0.0 Bohr magnetons per cell; crystal system = tetragonal; ΔE_f = 415 meV per atom; calculated total energy = -6.943 eV/atom; SG = P4mm, No. 99
1.0
2.891 0.000 0.000
0.000 2.891 0.000
0.000 0.000 8.829
Be Ca Ta
1 1 2
Direct
0.000 0.000 0.468
0.500 0.500 0.713
0.500 0.500 0.289
0.000 0.000 0.030

***

6.
CaTaBe3 | the Alexandria database | PBE | optimized geometry; spin magnetization = 0.0 Bohr magnetons per cell; crystal system = cubic; ΔE_f = 1005 meV per atom; calculated total energy = -4.001 eV/atom; SG = Pm-3m, No. 221
1.0
4.621 0.000 0.000
0.000 4.621 0.000
0.000 0.000 4.621
Ca Be Ta
1 3 1
Direct
0.500 0.500 0.500
0.500 0.000 0.000
0.000 0.500 0.000
0.000 0.000 0.500
0.000 0.000 0.000

***

7.
CaTa3Be | the Alexandria database | PBE | optimized geometry; spin magnetization = 0.0 Bohr magnetons per cell; crystal system = cubic; ΔE_f = 2853 meV per atom; calculated total energy = -5.404 eV/atom; SG = Pm-3m, No. 221
1.0
4.692 0.000 0.000
0.000 4.692 0.000
0.000 0.000 4.692
Be Ta Ca
1 3 1
Direct
0.500 0.500 0.500
0.500 0.000 0.000
0.000 0.000 0.500
0.000 0.500 0.000
0.000 0.000 0.000

***

8.
└──

Clingham, Greg, ed. The Cambridge Companion to Samuel Johnson. New York: Cambridge University Press, 1997. Collection of essays analyzing Johnson’s major works; examining his views of women, politics, Christianity, and imperialism; and describing the critical reception for his writing.

Greene, Donald J. The Politics of Samuel Johnson. New Haven, Conn.: Yale University Press, 1960. A scholarly discussion of an important aspect of Johnson’s career and life. It is the best book on the subject and corrects some false views of Johnson’s Toryism.

Hudson, Nicholas. Samuel Johnson and the Making of Modern England. New York: Cambridge University Press, 2003. Johnson became a symbol of English national identity in the century following his death. Hudson explores Johnson’s contributions to the creation of the modern English identity, including his opinions on class, feminism, party politics, nationalism, and imperialism.

Lipking, Lawrence. Samuel Johnson: The Life of an Author. Cambridge, Mass.: Harvard University Press, 1998. Biography describing how Johnson became a writer, rising from anonymity to fame and transforming the nature of authorship. Discusses the various works he wrote, including his dictionary, essays for The Rambler, Rasselas, and The Plays of William Shakespeare.

Sledd, James H., and Gwin J. Kolb. Dr. Johnson’s Dictionary. Chicago: University of Chicago Press, 1955. Still the best work available on the Dictionary of the English Language.

Voitle, Robert. Samuel Johnson the Moralist. Cambridge, Mass.: Harvard University Press, 1961. A full and revealing discussion of one of the most important aspects of Johnson’s works and life.

Wimsatt, W. K. The Prose Style of Samuel Johnson. New Haven, Conn.: Yale University Press, 1942. Still the best discussion of Johnson’s style, by an important literary critic.

Great Events from History: The Eighteenth Century, 1701-1800: 1746-1755: Johnson Creates the First Modern English Dictionary; March 20, 1750-March 14, 1752: Johnson Issues TheRambler; 1751-1772: Diderot Publishes the Encyclopedia; July, 1764: Voltaire Publishes A Philosophical Dictionary for the Pocket.